Codelco CEO’s exit puts copper giant in a bind as output stalls.

By Fabian Cambero

The surprise exit of Chilean mining firm Codelco’s CEO will put the state copper giant in a bind, analysts and insider sources said, even as it tries to revive flagging production of the red metal and make a foray into electric-vehicle mineral lithium.

The world’s largest copper producer said on Tuesday that chief executive officer Andre Sougarret would step down by the end of August, only a year after he took the role, citing “complexities” around the business and personal strain.

Codelco posted its lowest copper production in a quarter of a century last year and has been tasked with spearheading the state’s push to take more control over lithium development in the country, which has the largest reserves of the EV metal.

Four company sources and one industry source cited potential risks of missing production targets this year, issues from weather to accidents hitting some projects and internal politics between Sougarret and powerful chairman Maximo Pacheco.

“It’s not too surprising, taking into account the very different personalities between André and Maximo,” said Juan Carlos Guajardo, head of the Plusmining consultancy in Santiago.

“There have been several other changes in the administration which probably reflect the desire to make more changes.”

The departure of Sougarret, a respected engineer who gained plaudits for leading the 2010 rescue of 33 miners trapped for 69 days, will raise pressure on Codelco to find a quick replacement at a delicate juncture for its copper business.

One of the company sources said Sougarret had been pushing for “realistic” investment to strengthen the copper production pipeline, but that “the politicians did not want to be honest about the medium-to-long-term outlook.”

Codelco delivers all of its profit to the state, though it currently has approval to reinvest some 30% of profit annually.

“There was operational frustration,” said another of the sources, a long-time analyst who asked not to be named talking about internal company politics.

Pacheco and Sougarret did not immediately respond to requests for comment for this story. Codelco and the mining ministry declined to comment.


At Codelco the board chairman is usually the political bridge to the government, while the CEO is in charge of technical operations. Pacheco is a former minister of Energy and was also Codelco’s vice president of operations in the 1990s.

A third company source with knowledge of production said that so far this year it looked challenging for the firm to meet annual targets, which it had set in March at between 1.35 million and 1.42 million metric tons of copper. Concerns over meeting targets had put more pressure on the executive team.

In recent months the company has faced operational problems, accidents and adverse weather events that have affected its activities, while so-called structural projects have suffered delays in their development.

Some key executives have also now been shifted to managing the firm’s entry into lithium, after the government charged Codelco in April with leading a major shift to take state control over the sector, a relatively new area for the miner.

Several of the sources said that in the current environment it might prove difficult for the state miner to find a high-profile candidate to succeed Sougarret and to attract the experts it needs to boost copper and lithium projects.

“I don’t think the person will come from outside. The replacement should come from a vice president,” Guajardo said.

Inserted here: records of crystals:
/*
First-principles (GGA+U) data for a relaxed VRe2O crystal, as listed in the Alexandria database.

## Properties
Energy: -71.20 eV per cell
Size of the total moment: 1.89 μB/f.u.

```
VRe2O
1.0
-2.751 6.532 -0.326
-3.550 -1.789 -5.878
-4.836 1.723 -1.886
Re O V
4 2 2
Direct
0.532 0.125 0.250 Re
0.218 0.625 0.250 Re
0.375 0.468 0.750 Re
0.875 0.782 0.750 Re
0.500 0.500 0.000 O
0.250 0.750 0.500 O
0.000 0.000 0.000 V
0.750 0.250 0.500 V
```

----------

Record 1
# Li3SnAu3 | Alexandria via LeMat-Bulk | GGA-PBE | relaxed
# ρ in g cm⁻³: 9.6
# ΔE_f in eV/atom: -0.44
data_Li3SnAu3
_space_group_name_H-M_alt 'C m m m'
_space_group_IT_number 65
_space_group_name_Hall '-C 2 2'
_cell_length_a 8.934
_cell_length_b 9.273
_cell_length_c 6.095
_cell_angle_alpha 90.00
_cell_angle_beta 90.00
_cell_angle_gamma 90.00
loop_
_atom_site_label
_atom_site_type_symbol
_atom_site_fract_x
_atom_site_fract_y
_atom_site_fract_z
_atom_site_occupancy
Li1 Li 0.000 0.236 0.000 1
Li2 Li 0.000 0.250 0.500 1
Li3 Li 0.249 0.000 0.500 1
Sn1 Sn 0.193 0.500 0.000 1
Au1 Au 0.000 0.000 0.251 1
Au2 Au 0.250 0.250 0.264 1

---

Record 2
# Tb3Pr4PuS8 | Alexandria via LeMat-Bulk | GGA-PBE | relaxed
# ρ in g cm⁻³: 7.0
# Formation energy (no corrections) in meV/atom: -1996
data_Tb3Pr4PuS8
_space_group_name_H-M_alt 'R -3 m'
_space_group_IT_number 166
_space_group_name_Hall '-R 3 2"'
_cell_length_a 8.0099
_cell_length_b 8.0099
_cell_length_c 19.8513
_cell_angle_alpha 90.00
_cell_angle_beta 90.00
_cell_angle_gamma 120.00
loop_
_atom_site_label
_atom_site_type_symbol
_atom_site_fract_x
_atom_site_fract_y
_atom_site_fract_z
_atom_site_occupancy
Tb1 Tb 0.0000 0.5000 0.0000 1
Pr1 Pr 0.0000 0.0000 0.5000 1
Pr2 Pr 0.0000 0.5000 0.5000 1
Pu1 Pu 0.0000 0.0000 0.0000 1
S1 S 0.0000 0.0000 0.2555 1
S2 S 0.0010 0.5005 0.2551 1

---

Record 3
# CsInAgHg2 | Alexandria via LeMat-Bulk | GGA-PBE | relaxed
# ρ in g cm⁻³: 6.8
# ΔE_f in eV/atom: -0.06
data_CsInAgHg2
_space_group_name_H-M_alt 'P 4/m m m'
_space_group_IT_number 123
_space_group_name_Hall '-P 4 2'
_cell_length_a 5.776
_cell_length_b 5.776
_cell_length_c 5.533
_cell_angle_alpha 90.00
_cell_angle_beta 90.00
_cell_angle_gamma 90.00
loop_
_atom_site_label
_atom_site_type_symbol
_atom_site_fract_x
_atom_site_fract_y
_atom_site_fract_z
_atom_site_occupancy
Cs1 Cs 0.000 0.000 0.000 1
In1 In 0.500 0.500 0.500 1
Ag1 Ag 0.500 0.500 0.000 1
Hg1 Hg 0.000 0.500 0.500 1

---

Record 4
# Ba2RuCl | Alexandria via LeMat-Bulk | GGA-PBE | relaxed
# ρ in g cm⁻³: 5.2
# Formation energy (no corrections) in meV/atom: -454
data_Ba2RuCl
_space_group_name_H-M_alt 'I m m 2'
_space_group_IT_number 44
_space_group_name_Hall 'I 2 -2'
_cell_length_a 3.883
_cell_length_b 3.931
_cell_length_c 17.041
_cell_angle_alpha 90.00
_cell_angle_beta 90.00
_cell_angle_gamma 90.00
loop_
_atom_site_label
_atom_site_type_symbol
_atom_site_fract_x
_atom_site_fract_y
_atom_site_fract_z
_atom_site_occupancy
Ba1 Ba 0.000 0.000 0.000 1
Ba2 Ba 0.000 0.500 0.272 1
Ru1 Ru 0.000 0.000 0.404 1
*/
The records of crystals stop here:

Source: Yahoo Finance